## Exercise
Your job: type out all of the block underneath exactly.

## Material
........
(1)
The following is a calculated XRD peak list of Pm2PuSi3Ni4. It was derived from a cell relaxed with PBE, using a wavelength of 1.5418 Å.

Largest 8 diffraction maxima, most intense first, 2θ = 10–90°:
- (1 1 2), 35.5 deg, rel. 100
- (2 0 0), 43.5 deg, rel. 42
- (1 0 1), 23.2 deg, rel. 35
- (1 0 3), 34.7 deg, rel. 34
- (1 0 2), 28.0 deg, rel. 23
- (3 1 2), 74.7 deg, rel. 23
- (2 1 3), 56.8 deg, rel. 17
- (1 0 0), 21.4 deg, rel. 14

Structural model:
Unit cell a=4.159 b=4.159 c=9.912 alpha=90.00 beta=90.00 gamma=90.00
Space group P-4m2 (No. 115)
Asymmetric unit:
Pm (0.000, 0.500, 0.228) [2 per cell]
Pu (0.000, 0.000, 0.500) [1 per cell]
Si (0.000, 0.500, 0.886) [2 per cell]
Si (0.500, 0.500, 0.500) [1 per cell]
Ni (0.000, 0.000, 0.000) [1 per cell]
Ni (0.000, 0.500, 0.654) [2 per cell]
Ni (0.500, 0.500, 0.000) [1 per cell]



(2)
The following is a calculated XRD peak list of Pm7NiRh4. It was derived from a cell relaxed with PBE, using a wavelength of 1.5418 Å.

Largest 8 diffraction maxima, most intense first, 2θ = 10–90°:
- (3 1 -2), 31.7 deg, rel. 100
- (2 0 3), 29.6 deg, rel. 84
- (2 0 -4), 30.0 deg, rel. 84
- (3 1 1), 32.8 deg, rel. 78
- (3 1 -1), 30.1 deg, rel. 76
- (0 2 0), 45.5 deg, rel. 67
- (3 1 0), 30.5 deg, rel. 65
- (3 1 -3), 34.9 deg, rel. 56

Structural model:
Unit cell a=13.386 b=3.986 c=12.153 alpha=90.00 beta=105.04 gamma=90.00
Space group Cm (No. 8)
Asymmetric unit:
Pm (0.000, 0.000, 0.000) [2 per cell]
Pm (0.016, 0.500, 0.280) [2 per cell]
Pm (0.100, 0.500, 0.590) [2 per cell]
Pm (0.217, 0.000, 0.855) [2 per cell]
Pm (0.258, 0.500, 0.144) [2 per cell]
Pm (0.297, 0.000, 0.423) [2 per cell]
Pm (0.413, 0.500, 0.688) [2 per cell]
Ni (0.141, 0.000, 0.217) [2 per cell]
Rh (0.056, 0.500, 0.831) [2 per cell]
Rh (0.257, 0.000, 0.639) [2 per cell]
Rh (0.373, 0.000, 0.065) [2 per cell]
Rh (0.457, 0.500, 0.444) [2 per cell]



(3)
The following is a calculated XRD peak list of Pm2Ni3Rh. It was derived from a cell relaxed with PBE, using a wavelength of 1.5418 Å.

Largest 8 diffraction maxima, most intense first, 2θ = 10–90°:
- (1 1 3), 40.7 deg, rel. 100
- (1 1 0), 34.9 deg, rel. 62
- (0 1 5), 39.8 deg, rel. 59
- (1 0 4), 33.9 deg, rel. 38
- (0 2 1), 41.1 deg, rel. 32
- (2 0 2), 42.8 deg, rel. 29
- (1 2 5), 65.8 deg, rel. 26
- (2 0 8), 71.3 deg, rel. 23

Structural model:
Unit cell a=5.1471 b=5.1471 c=13.1401 alpha=90.00 beta=90.00 gamma=120.00
Space group R-3m (No. 166, hexagonal axes)
Asymmetric unit:
Pm (0.0000, 0.0000, 0.1232) [6 per cell]
Ni (0.0000, 0.5000, 0.0000) [9 per cell]
Rh (0.0000, 0.0000, 0.5000) [3 per cell]



(4)
The following is a calculated XRD peak list of Pm2Ni4Sb3Rh. It was derived from a cell relaxed with PBE, using a wavelength of 1.5418 Å.

Largest 8 diffraction maxima, most intense first, 2θ = 10–90°:
- (1 1 2), 34.4 deg, rel. 100
- (1 0 3), 33.2 deg, rel. 65
- (2 0 0), 42.6 deg, rel. 62
- (2 1 3), 55.0 deg, rel. 30
- (1 0 5), 48.5 deg, rel. 29
- (3 1 2), 72.7 deg, rel. 24
- (2 1 5), 66.5 deg, rel. 22
- (2 2 0), 61.8 deg, rel. 20

Structural model:
Unit cell a=4.249 b=4.249 c=10.466 alpha=90.00 beta=90.00 gamma=90.00
Space group P-4m2 (No. 115)
Asymmetric unit:
Pm (0.000, 0.500, 0.245) [2 per cell]
Ni (0.000, 0.000, 0.500) [1 per cell]
Ni (0.000, 0.500, 0.867) [2 per cell]
Ni (0.500, 0.500, 0.500) [1 per cell]
Sb (0.000, 0.000, 0.000) [1 per cell]
Sb (0.000, 0.500, 0.630) [2 per cell]
Rh (0.500, 0.500, 0.000) [1 per cell]



(5)
The following is a calculated XRD peak list of PmSi2NiRh. It was derived from a cell relaxed with PBE, using a wavelength of 1.5418 Å.

Largest 8 diffraction maxima, most intense first, 2θ = 10–90°:
- (1 1 2), 36.2 deg, rel. 100
- (1 0 3), 34.8 deg, rel. 39
- (2 0 0), 44.8 deg, rel. 37
- (1 0 1), 23.7 deg, rel. 36
- (3 1 2), 76.9 deg, rel. 21
- (2 1 3), 58.0 deg, rel. 18
- (1 1 6), 64.7 deg, rel. 17
- (0 0 4), 35.9 deg, rel. 17

Structural model:
Unit cell a=4.044 b=4.044 c=10.016 alpha=90.00 beta=90.00 gamma=90.00
Space group I-4m2 (No. 119)
Asymmetric unit:
........

## Done
(1)
The following is a calculated XRD peak list of Pm2PuSi3Ni4. It was derived from a cell relaxed with PBE, using a wavelength of 1.5418 Å.

Largest 8 diffraction maxima, most intense first, 2θ = 10–90°:
- (1 1 2), 35.5 deg, rel. 100
- (2 0 0), 43.5 deg, rel. 42
- (1 0 1), 23.2 deg, rel. 35
- (1 0 3), 34.7 deg, rel. 34
- (1 0 2), 28.0 deg, rel. 23
- (3 1 2), 74.7 deg, rel. 23
- (2 1 3), 56.8 deg, rel. 17
- (1 0 0), 21.4 deg, rel. 14

Structural model:
Unit cell a=4.159 b=4.159 c=9.912 alpha=90.00 beta=90.00 gamma=90.00
Space group P-4m2 (No. 115)
Asymmetric unit:
Pm (0.000, 0.500, 0.228) [2 per cell]
Pu (0.000, 0.000, 0.500) [1 per cell]
Si (0.000, 0.500, 0.886) [2 per cell]
Si (0.500, 0.500, 0.500) [1 per cell]
Ni (0.000, 0.000, 0.000) [1 per cell]
Ni (0.000, 0.500, 0.654) [2 per cell]
Ni (0.500, 0.500, 0.000) [1 per cell]



(2)
The following is a calculated XRD peak list of Pm7NiRh4. It was derived from a cell relaxed with PBE, using a wavelength of 1.5418 Å.

Largest 8 diffraction maxima, most intense first, 2θ = 10–90°:
- (3 1 -2), 31.7 deg, rel. 100
- (2 0 3), 29.6 deg, rel. 84
- (2 0 -4), 30.0 deg, rel. 84
- (3 1 1), 32.8 deg, rel. 78
- (3 1 -1), 30.1 deg, rel. 76
- (0 2 0), 45.5 deg, rel. 67
- (3 1 0), 30.5 deg, rel. 65
- (3 1 -3), 34.9 deg, rel. 56

Structural model:
Unit cell a=13.386 b=3.986 c=12.153 alpha=90.00 beta=105.04 gamma=90.00
Space group Cm (No. 8)
Asymmetric unit:
Pm (0.000, 0.000, 0.000) [2 per cell]
Pm (0.016, 0.500, 0.280) [2 per cell]
Pm (0.100, 0.500, 0.590) [2 per cell]
Pm (0.217, 0.000, 0.855) [2 per cell]
Pm (0.258, 0.500, 0.144) [2 per cell]
Pm (0.297, 0.000, 0.423) [2 per cell]
Pm (0.413, 0.500, 0.688) [2 per cell]
Ni (0.141, 0.000, 0.217) [2 per cell]
Rh (0.056, 0.500, 0.831) [2 per cell]
Rh (0.257, 0.000, 0.639) [2 per cell]
Rh (0.373, 0.000, 0.065) [2 per cell]
Rh (0.457, 0.500, 0.444) [2 per cell]



(3)
The following is a calculated XRD peak list of Pm2Ni3Rh. It was derived from a cell relaxed with PBE, using a wavelength of 1.5418 Å.

Largest 8 diffraction maxima, most intense first, 2θ = 10–90°:
- (1 1 3), 40.7 deg, rel. 100
- (1 1 0), 34.9 deg, rel. 62
- (0 1 5), 39.8 deg, rel. 59
- (1 0 4), 33.9 deg, rel. 38
- (0 2 1), 41.1 deg, rel. 32
- (2 0 2), 42.8 deg, rel. 29
- (1 2 5), 65.8 deg, rel. 26
- (2 0 8), 71.3 deg, rel. 23

Structural model:
Unit cell a=5.1471 b=5.1471 c=13.1401 alpha=90.00 beta=90.00 gamma=120.00
Space group R-3m (No. 166, hexagonal axes)
Asymmetric unit:
Pm (0.0000, 0.0000, 0.1232) [6 per cell]
Ni (0.0000, 0.5000, 0.0000) [9 per cell]
Rh (0.0000, 0.0000, 0.5000) [3 per cell]



(4)
The following is a calculated XRD peak list of Pm2Ni4Sb3Rh. It was derived from a cell relaxed with PBE, using a wavelength of 1.5418 Å.

Largest 8 diffraction maxima, most intense first, 2θ = 10–90°:
- (1 1 2), 34.4 deg, rel. 100
- (1 0 3), 33.2 deg, rel. 65
- (2 0 0), 42.6 deg, rel. 62
- (2 1 3), 55.0 deg, rel. 30
- (1 0 5), 48.5 deg, rel. 29
- (3 1 2), 72.7 deg, rel. 24
- (2 1 5), 66.5 deg, rel. 22
- (2 2 0), 61.8 deg, rel. 20

Structural model:
Unit cell a=4.249 b=4.249 c=10.466 alpha=90.00 beta=90.00 gamma=90.00
Space group P-4m2 (No. 115)
Asymmetric unit:
Pm (0.000, 0.500, 0.245) [2 per cell]
Ni (0.000, 0.000, 0.500) [1 per cell]
Ni (0.000, 0.500, 0.867) [2 per cell]
Ni (0.500, 0.500, 0.500) [1 per cell]
Sb (0.000, 0.000, 0.000) [1 per cell]
Sb (0.000, 0.500, 0.630) [2 per cell]
Rh (0.500, 0.500, 0.000) [1 per cell]



(5)
The following is a calculated XRD peak list of PmSi2NiRh. It was derived from a cell relaxed with PBE, using a wavelength of 1.5418 Å.

Largest 8 diffraction maxima, most intense first, 2θ = 10–90°:
- (1 1 2), 36.2 deg, rel. 100
- (1 0 3), 34.8 deg, rel. 39
- (2 0 0), 44.8 deg, rel. 37
- (1 0 1), 23.7 deg, rel. 36
- (3 1 2), 76.9 deg, rel. 21
- (2 1 3), 58.0 deg, rel. 18
- (1 1 6), 64.7 deg, rel. 17
- (0 0 4), 35.9 deg, rel. 17

Structural model:
Unit cell a=4.044 b=4.044 c=10.016 alpha=90.00 beta=90.00 gamma=90.00
Space group I-4m2 (No. 119)
Asymmetric unit: